## File
No. 1
For Na2LaCuAs, a cell relaxed with PBE gives the calculated PXRD pattern in this record (CuKα).

Cell and atoms:
Lattice parameters (Å, degrees): 4.999 4.999 4.906 90.00 90.00 90.00
Space group P4/mmm (No. 123)
Asymmetric unit:
Na (0.000, 0.500, 0.000) (multiplicity 2)
La (0.000, 0.000, 0.500) (multiplicity 1)
Cu (0.500, 0.500, 0.000) (multiplicity 1)
As (0.500, 0.500, 0.500) (multiplicity 1)

The 6 most intense peaks (5 to 70 degrees two-theta), low angle first:
- hkl 1 1 0, 25.2 deg, I 100
- hkl 1 0 1, 25.4 deg, I 59
- hkl 1 1 1, 31.2 deg, I 79
- hkl 2 0 0, 35.9 deg, I 80
- hkl 1 1 2, 45.0 deg, I 42
- hkl 2 0 2, 52.2 deg, I 53

No. 2
For Tl2SbCl6, a cell relaxed with PBE gives the calculated PXRD pattern in this record (CuKα).

Cell and atoms:
Lattice parameters (Å, degrees): 12.478 7.220 6.282 90.00 90.69 90.00
Space group C2/m (No. 12)
Asymmetric unit:
Tl (0.168, 0.000, 0.188) (multiplicity 4)
Sb (0.000, 0.500, 0.000) (multiplicity 2)
Cl (0.084, 0.247, 0.776) (multiplicity 8)
Cl (0.170, 0.500, 0.227) (multiplicity 4)

The 6 most intense peaks (5 to 70 degrees two-theta), low angle first:
- hkl 0 0 1, 14.1 deg, I 58
- hkl 2 0 -1, 20.0 deg, I 44
- hkl 1 1 1, 20.1 deg, I 58
- hkl 3 1 0, 24.7 deg, I 94
- hkl 0 0 2, 28.5 deg, I 47
- hkl 2 2 -1, 31.9 deg, I 100

----------

(1)
The following is a computed XRD peak list of YScO4. It was derived from a crystal structure in Alexandria, relaxed with GGA-PBE, using λ = 1.5418 Å (Cu Kα).
Lines closer than 0.1° are merged.

Crystal structure
Unit cell a=3.8272 b=3.8272 c=5.9923 alpha=95.11 beta=95.11 gamma=55.93
Fractional coordinates of all 6 atoms:
Y 0.0000 0.0000 0.0000
Sc 0.3582 0.3582 0.4543
O 0.0362 0.0362 0.3867
O 0.3268 0.3268 0.0968
O 0.5823 0.5823 0.7619
O 0.7753 0.7753 0.6641

Peak list (10 most intense, 5° ≤ 2θ ≤ 70°, by intensity)
d = 2.853 Å, 2θ 31.3, intensity 100; d = 2.981 Å, 2θ 30.0, intensity 35; d = 2.810 Å, 2θ 31.8, intensity 34; d = 1.902 Å, 2θ 47.8, intensity 33; d = 3.363 Å, 2θ 26.5, intensity 31; d = 1.720 Å, 2θ 53.2, intensity 28; d = 3.167 Å, 2θ 28.2, intensity 28; d = 2.121 Å, 2θ 42.6, intensity 25; d = 1.794 Å, 2θ 50.9, intensity 25; d = 5.962 Å, 2θ 14.9, intensity 24

=====

(2)
The following is a computed XRD peak list of ZrSc3O. It was derived from a crystal structure in Alexandria, relaxed with GGA-PBE, using λ = 1.5418 Å (Cu Kα).
Lines closer than 0.1° are merged.

Crystal structure
Unit cell a=6.1058 b=6.1058 c=5.7274 alpha=90.06 beta=90.06 gamma=64.33
Fractional coordinates of all 10 atoms:
Zr 0.0000 0.0000 0.0000
Zr 0.7491 0.7491 0.3036
Sc 0.0012 0.4966 0.8140
Sc 0.2456 0.7523 0.5106
Sc 0.2472 0.2472 0.3491
Sc 0.4929 0.4929 0.9870
Sc 0.4966 0.0012 0.8140
Sc 0.7523 0.2456 0.5106
O 0.1190 0.1190 0.6594
O 0.3790 0.3790 0.6576

Peak list (10 most intense, 5° ≤ 2θ ≤ 70°, by intensity)
d = 2.480 Å, 2θ 36.2, intensity 100; d = 2.505 Å, 2θ 35.8, intensity 61; d = 2.584 Å, 2θ 34.7, intensity 35; d = 1.908 Å, 2θ 47.7, intensity 25; d = 2.827 Å, 2θ 31.7, intensity 24; d = 1.646 Å, 2θ 55.8, intensity 20; d = 3.967 Å, 2θ 22.4, intensity 18; d = 1.471 Å, 2θ 63.2, intensity 17; d = 1.388 Å, 2θ 67.5, intensity 16; d = 1.363 Å, 2θ 68.9, intensity 16

=====

(3)
The following is a computed XRD peak list of Se2O5. It was derived from a crystal structure in Alexandria, relaxed with GGA-PBE, using λ = 1.5418 Å (Cu Kα).
Lines closer than 0.1° are merged.

Crystal structure
Unit cell a=4.9140 b=7.0593 c=13.9899 alpha=90.00 beta=90.65 gamma=90.00
Fractional coordinates of all 28 atoms:
Se 0.0005 0.2298 0.1273
Se 0.0005 0.2702 0.6273
Se 0.9995 0.7298 0.3727
Se 0.9995 0.7702 0.8727
Se 0.1272 0.2290 0.8591
Se 0.1272 0.2710 0.3591
Se 0.8728 0.7290 0.6409
Se 0.8728 0.7710 0.1409
O 0.1982 0.1866 0.0362
O 0.1982 0.3134 0.5362
O 0.1985 0.5843 0.8764
O 0.1985 0.9157 0.3764
O 0.2010 0.7366 0.6391
O 0.2010 0.7634 0.1391
O 0.2188 0.5394 0.3503
O 0.2188 0.9606 0.8503
O 0.2245 0.2348 0.2258
O 0.2245 0.2652 0.7258
O 0.7755 0.7348 0.2742
O 0.7755 0.7652 0.7742

## To do
Could you copy the notes earlier on from the line with "(0.000, 0.000," to the end verbatim?

## Done
La (0.000, 0.000, 0.500) (multiplicity 1)
Cu (0.500, 0.500, 0.000) (multiplicity 1)
As (0.500, 0.500, 0.500) (multiplicity 1)

The 6 most intense peaks (5 to 70 degrees two-theta), low angle first:
- hkl 1 1 0, 25.2 deg, I 100
- hkl 1 0 1, 25.4 deg, I 59
- hkl 1 1 1, 31.2 deg, I 79
- hkl 2 0 0, 35.9 deg, I 80
- hkl 1 1 2, 45.0 deg, I 42
- hkl 2 0 2, 52.2 deg, I 53

No. 2
For Tl2SbCl6, a cell relaxed with PBE gives the calculated PXRD pattern in this record (CuKα).

Cell and atoms:
Lattice parameters (Å, degrees): 12.478 7.220 6.282 90.00 90.69 90.00
Space group C2/m (No. 12)
Asymmetric unit:
Tl (0.168, 0.000, 0.188) (multiplicity 4)
Sb (0.000, 0.500, 0.000) (multiplicity 2)
Cl (0.084, 0.247, 0.776) (multiplicity 8)
Cl (0.170, 0.500, 0.227) (multiplicity 4)

The 6 most intense peaks (5 to 70 degrees two-theta), low angle first:
- hkl 0 0 1, 14.1 deg, I 58
- hkl 2 0 -1, 20.0 deg, I 44
- hkl 1 1 1, 20.1 deg, I 58
- hkl 3 1 0, 24.7 deg, I 94
- hkl 0 0 2, 28.5 deg, I 47
- hkl 2 2 -1, 31.9 deg, I 100

----------

(1)
The following is a computed XRD peak list of YScO4. It was derived from a crystal structure in Alexandria, relaxed with GGA-PBE, using λ = 1.5418 Å (Cu Kα).
Lines closer than 0.1° are merged.

Crystal structure
Unit cell a=3.8272 b=3.8272 c=5.9923 alpha=95.11 beta=95.11 gamma=55.93
Fractional coordinates of all 6 atoms:
Y 0.0000 0.0000 0.0000
Sc 0.3582 0.3582 0.4543
O 0.0362 0.0362 0.3867
O 0.3268 0.3268 0.0968
O 0.5823 0.5823 0.7619
O 0.7753 0.7753 0.6641

Peak list (10 most intense, 5° ≤ 2θ ≤ 70°, by intensity)
d = 2.853 Å, 2θ 31.3, intensity 100; d = 2.981 Å, 2θ 30.0, intensity 35; d = 2.810 Å, 2θ 31.8, intensity 34; d = 1.902 Å, 2θ 47.8, intensity 33; d = 3.363 Å, 2θ 26.5, intensity 31; d = 1.720 Å, 2θ 53.2, intensity 28; d = 3.167 Å, 2θ 28.2, intensity 28; d = 2.121 Å, 2θ 42.6, intensity 25; d = 1.794 Å, 2θ 50.9, intensity 25; d = 5.962 Å, 2θ 14.9, intensity 24

=====

(2)
The following is a computed XRD peak list of ZrSc3O. It was derived from a crystal structure in Alexandria, relaxed with GGA-PBE, using λ = 1.5418 Å (Cu Kα).
Lines closer than 0.1° are merged.

Crystal structure
Unit cell a=6.1058 b=6.1058 c=5.7274 alpha=90.06 beta=90.06 gamma=64.33
Fractional coordinates of all 10 atoms:
Zr 0.0000 0.0000 0.0000
Zr 0.7491 0.7491 0.3036
Sc 0.0012 0.4966 0.8140
Sc 0.2456 0.7523 0.5106
Sc 0.2472 0.2472 0.3491
Sc 0.4929 0.4929 0.9870
Sc 0.4966 0.0012 0.8140
Sc 0.7523 0.2456 0.5106
O 0.1190 0.1190 0.6594
O 0.3790 0.3790 0.6576

Peak list (10 most intense, 5° ≤ 2θ ≤ 70°, by intensity)
d = 2.480 Å, 2θ 36.2, intensity 100; d = 2.505 Å, 2θ 35.8, intensity 61; d = 2.584 Å, 2θ 34.7, intensity 35; d = 1.908 Å, 2θ 47.7, intensity 25; d = 2.827 Å, 2θ 31.7, intensity 24; d = 1.646 Å, 2θ 55.8, intensity 20; d = 3.967 Å, 2θ 22.4, intensity 18; d = 1.471 Å, 2θ 63.2, intensity 17; d = 1.388 Å, 2θ 67.5, intensity 16; d = 1.363 Å, 2θ 68.9, intensity 16

=====

(3)
The following is a computed XRD peak list of Se2O5. It was derived from a crystal structure in Alexandria, relaxed with GGA-PBE, using λ = 1.5418 Å (Cu Kα).
Lines closer than 0.1° are merged.

Crystal structure
Unit cell a=4.9140 b=7.0593 c=13.9899 alpha=90.00 beta=90.65 gamma=90.00
Fractional coordinates of all 28 atoms:
Se 0.0005 0.2298 0.1273
Se 0.0005 0.2702 0.6273
Se 0.9995 0.7298 0.3727
Se 0.9995 0.7702 0.8727
Se 0.1272 0.2290 0.8591
Se 0.1272 0.2710 0.3591
Se 0.8728 0.7290 0.6409
Se 0.8728 0.7710 0.1409
O 0.1982 0.1866 0.0362
O 0.1982 0.3134 0.5362
O 0.1985 0.5843 0.8764
O 0.1985 0.9157 0.3764
O 0.2010 0.7366 0.6391
O 0.2010 0.7634 0.1391
O 0.2188 0.5394 0.3503
O 0.2188 0.9606 0.8503
O 0.2245 0.2348 0.2258
O 0.2245 0.2652 0.7258
O 0.7755 0.7348 0.2742
O 0.7755 0.7652 0.7742